# Exercise
Please type out the whole of the data below with every line break kept.
# Given
____________
No. 1
# NaLi2DyF6

Crystalline NaLi2DyF6 at its relaxed geometry (GGA-PBE, Alexandria). Values from VASP.

The structure in Quantum ESPRESSO input format:
```
&SYSTEM
  ibrav = 0, nat = 10, ntyp = 4
/
ATOMIC_SPECIES
Na 22.99 Na.upf
Li 6.94 Li.upf
Dy 162.50 Dy.upf
F 19.00 F.upf
CELL_PARAMETERS angstrom
2.729 1.576 4.792
-2.729 1.576 4.792
0.000 -3.151 4.792
ATOMIC_POSITIONS angstrom
Na 0.000 0.000 0.000
Li 0.000 0.000 4.073
Li 0.000 0.000 11.259
Dy 0.000 0.000 7.140
F -1.577 -0.241 5.594
F -1.045 -1.743 7.924
F 0.997 -1.245 5.594
F -0.987 1.777 7.924
F 0.580 1.487 5.594
F 2.032 -0.034 7.924
```

Values from the calculation:
DFT total energy: -0.20043 Ha/atom
magnetization: 0.000 μB per atom

No. 2
# LiDyPbF6

Crystalline LiDyPbF6 at its relaxed geometry (GGA-PBE, Alexandria). Values from VASP.

The structure in Quantum ESPRESSO input format:
```
&SYSTEM
  ibrav = 0, nat = 18, ntyp = 4
/
ATOMIC_SPECIES
Li 6.94 Li.upf
Dy 162.50 Dy.upf
Pb 207.20 Pb.upf
F 19.00 F.upf
CELL_PARAMETERS angstrom
5.607 0.000 0.000
-2.804 4.856 0.000
0.000 0.000 10.663
ATOMIC_POSITIONS angstrom
Li 0.000 3.237 2.666
Li 2.804 1.619 7.997
Dy 0.000 3.237 7.997
Dy 2.804 1.619 2.666
Pb 0.000 0.000 0.000
Pb 0.000 0.000 5.332
F -0.953 1.763 1.503
F -1.753 3.150 3.829
F 0.953 1.763 3.829
F -0.801 4.800 1.503
F 2.003 0.056 6.834
F 1.050 1.706 9.160
F 1.753 3.150 1.503
F 0.801 4.800 3.829
F 3.605 0.056 9.160
F 1.851 3.093 6.834
F 4.557 1.706 6.834
F 3.756 3.093 9.160
```

Values from the calculation:
DFT total energy: -0.20716 Ha/atom
magnetization: 0.000 μB per atom

No. 3
# Rb3Li2DyF9

Crystalline Rb3Li2DyF9 at its relaxed geometry (GGA-PBE, Alexandria). Values from VASP.

The structure in Quantum ESPRESSO input format:
```
&SYSTEM
  ibrav = 0, nat = 15, ntyp = 4
/
ATOMIC_SPECIES
Rb 85.47 Rb.upf
Li 6.94 Li.upf
Dy 162.50 Dy.upf
F 19.00 F.upf
CELL_PARAMETERS angstrom
6.012 0.000 0.000
-3.006 5.207 0.000
0.000 0.000 7.623
ATOMIC_POSITIONS angstrom
Rb 0.000 0.000 0.000
Rb 0.000 3.471 5.287
Rb 3.006 1.736 2.336
Li 0.000 3.471 1.453
Li 3.006 1.736 6.170
Dy 0.000 0.000 3.811
F -1.503 2.603 0.000
F 0.000 1.762 2.524
F -1.480 4.326 2.524
F 1.526 0.881 5.099
F 3.006 0.000 0.000
F 1.503 2.603 0.000
F 1.480 4.326 2.524
F 4.486 0.881 5.099
F 3.006 3.445 5.099
```

Values from the calculation:
DFT total energy: -0.17839 Ha/atom
magnetization: 0.078 μB per atom

No. 4
# RbLiDyF5

Crystalline RbLiDyF5 at its relaxed geometry (GGA-PBE, Alexandria). Values from VASP.

The structure in Quantum ESPRESSO input format:
```
&SYSTEM
  ibrav = 0, nat = 16, ntyp = 4
/
ATOMIC_SPECIES
Rb 85.47 Rb.upf
Li 6.94 Li.upf
Dy 162.50 Dy.upf
F 19.00 F.upf
CELL_PARAMETERS angstrom
3.765 -5.088 0.000
3.765 5.088 0.000
-3.329 0.000 7.659
ATOMIC_POSITIONS angstrom
Rb 1.268 3.441 5.744
Rb 2.932 -3.441 1.915
Li 2.932 3.191 1.915
Li 1.268 -3.191 5.744
Dy 3.765 0.000 0.000
Dy 2.100 0.000 3.830
F -1.496 0.682 6.894
F 1.797 2.006 2.994
F 0.168 -0.682 3.065
F 4.067 2.006 0.835
F 1.268 0.681 5.744
F 2.932 -0.681 1.915
F 0.133 -2.006 6.824
F 4.032 0.682 4.594
F 2.403 -2.006 4.665
F 5.696 -0.682 0.765
```

Values from the calculation:
DFT total energy: -0.20607 Ha/atom
magnetization: 0.022 μB per atom
____________
# Written answer
No. 1
# NaLi2DyF6

Crystalline NaLi2DyF6 at its relaxed geometry (GGA-PBE, Alexandria). Values from VASP.

The structure in Quantum ESPRESSO input format:
```
&SYSTEM
  ibrav = 0, nat = 10, ntyp = 4
/
ATOMIC_SPECIES
Na 22.99 Na.upf
Li 6.94 Li.upf
Dy 162.50 Dy.upf
F 19.00 F.upf
CELL_PARAMETERS angstrom
2.729 1.576 4.792
-2.729 1.576 4.792
0.000 -3.151 4.792
ATOMIC_POSITIONS angstrom
Na 0.000 0.000 0.000
Li 0.000 0.000 4.073
Li 0.000 0.000 11.259
Dy 0.000 0.000 7.140
F -1.577 -0.241 5.594
F -1.045 -1.743 7.924
F 0.997 -1.245 5.594
F -0.987 1.777 7.924
F 0.580 1.487 5.594
F 2.032 -0.034 7.924
```

Values from the calculation:
DFT total energy: -0.20043 Ha/atom
magnetization: 0.000 μB per atom

No. 2
# LiDyPbF6

Crystalline LiDyPbF6 at its relaxed geometry (GGA-PBE, Alexandria). Values from VASP.

The structure in Quantum ESPRESSO input format:
```
&SYSTEM
  ibrav = 0, nat = 18, ntyp = 4
/
ATOMIC_SPECIES
Li 6.94 Li.upf
Dy 162.50 Dy.upf
Pb 207.20 Pb.upf
F 19.00 F.upf
CELL_PARAMETERS angstrom
5.607 0.000 0.000
-2.804 4.856 0.000
0.000 0.000 10.663
ATOMIC_POSITIONS angstrom
Li 0.000 3.237 2.666
Li 2.804 1.619 7.997
Dy 0.000 3.237 7.997
Dy 2.804 1.619 2.666
Pb 0.000 0.000 0.000
Pb 0.000 0.000 5.332
F -0.953 1.763 1.503
F -1.753 3.150 3.829
F 0.953 1.763 3.829
F -0.801 4.800 1.503
F 2.003 0.056 6.834
F 1.050 1.706 9.160
F 1.753 3.150 1.503
F 0.801 4.800 3.829
F 3.605 0.056 9.160
F 1.851 3.093 6.834
F 4.557 1.706 6.834
F 3.756 3.093 9.160
```

Values from the calculation:
DFT total energy: -0.20716 Ha/atom
magnetization: 0.000 μB per atom

No. 3
# Rb3Li2DyF9

Crystalline Rb3Li2DyF9 at its relaxed geometry (GGA-PBE, Alexandria). Values from VASP.

The structure in Quantum ESPRESSO input format:
```
&SYSTEM
  ibrav = 0, nat = 15, ntyp = 4
/
ATOMIC_SPECIES
Rb 85.47 Rb.upf
Li 6.94 Li.upf
Dy 162.50 Dy.upf
F 19.00 F.upf
CELL_PARAMETERS angstrom
6.012 0.000 0.000
-3.006 5.207 0.000
0.000 0.000 7.623
ATOMIC_POSITIONS angstrom
Rb 0.000 0.000 0.000
Rb 0.000 3.471 5.287
Rb 3.006 1.736 2.336
Li 0.000 3.471 1.453
Li 3.006 1.736 6.170
Dy 0.000 0.000 3.811
F -1.503 2.603 0.000
F 0.000 1.762 2.524
F -1.480 4.326 2.524
F 1.526 0.881 5.099
F 3.006 0.000 0.000
F 1.503 2.603 0.000
F 1.480 4.326 2.524
F 4.486 0.881 5.099
F 3.006 3.445 5.099
```

Values from the calculation:
DFT total energy: -0.17839 Ha/atom
magnetization: 0.078 μB per atom

No. 4
# RbLiDyF5

Crystalline RbLiDyF5 at its relaxed geometry (GGA-PBE, Alexandria). Values from VASP.

The structure in Quantum ESPRESSO input format:
```
&SYSTEM
  ibrav = 0, nat = 16, ntyp = 4
/
ATOMIC_SPECIES
Rb 85.47 Rb.upf
Li 6.94 Li.upf
Dy 162.50 Dy.upf
F 19.00 F.upf
CELL_PARAMETERS angstrom
3.765 -5.088 0.000
3.765 5.088 0.000
-3.329 0.000 7.659
ATOMIC_POSITIONS angstrom
Rb 1.268 3.441 5.744
Rb 2.932 -3.441 1.915
Li 2.932 3.191 1.915
Li 1.268 -3.191 5.744
Dy 3.765 0.000 0.000
Dy 2.100 0.000 3.830
F -1.496 0.682 6.894
F 1.797 2.006 2.994
F 0.168 -0.682 3.065
F 4.067 2.006 0.835
F 1.268 0.681 5.744
F 2.932 -0.681 1.915
F 0.133 -2.006 6.824
F 4.032 0.682 4.594
F 2.403 -2.006 4.665
F 5.696 -0.682 0.765
```

Values from the calculation:
DFT total energy: -0.20607 Ha/atom
magnetization: 0.022 μB per atom